Wanted =
Next, retype all of the entries further down character by character.

Given =
'''
[1]
FeRuPb2: simulated powder XRD pattern (Cu Kα, 1.54184 Å), based on a cell relaxed with PBE.
Kinematic intensities with the Lorentz-polarization factor, no thermal factor.

Structural model:
Cell: 3.203 3.203 8.395 Å, 90.00 90.00 90.00°
Atoms (fractional coordinates):
Fe 0.000 0.000 0.000
Ru 0.500 0.500 0.858
Pb 0.000 0.000 0.624
Pb 0.500 0.500 0.228

Top 10 peaks for 2θ from 5° to 70°, in order of rising 2θ:
Position (°2θ), I_rel
21.17, 27
29.85, 100
31.98, 30
35.24, 90
39.80, 75
42.91, 55
51.93, 31
57.54, 25
69.31, 25
69.71, 23

---

[2]
SbO2F: simulated powder XRD pattern (Cu Kα, 1.54184 Å), based on a cell relaxed with PBE.
Kinematic intensities with the Lorentz-polarization factor, no thermal factor.

Structural model:
Cell: 5.497 4.959 8.707 Å, 90.00 90.00 90.00°
Atoms (fractional coordinates):
Sb 0.250 0.000 0.067
Sb 0.250 0.500 0.433
Sb 0.750 0.000 0.933
Sb 0.750 0.500 0.567
O 0.048 0.218 0.922
O 0.048 0.282 0.578
O 0.452 0.718 0.578
O 0.452 0.782 0.922
O 0.548 0.218 0.078
O 0.548 0.282 0.422
O 0.952 0.718 0.422
O 0.952 0.782 0.078
F 0.134 0.250 0.250
F 0.366 0.750 0.250
F 0.634 0.250 0.750
F 0.866 0.750 0.750

Top 10 peaks for 2θ from 5° to 70°, in order of rising 2θ:
Position (°2θ), I_rel
19.09, 31
20.40, 24
20.61, 100
31.83, 38
32.58, 10
34.96, 16
38.87, 32
48.59, 21
49.51, 14
51.23, 23

* * * * *

# 1
Diffraction record for Nb2Tl4S11. The X-ray powder pattern is simulated, not measured: it uses the PBE geometry in OQMD and Cu Ka.

```
data_Nb2Tl4S11
_symmetry_space_group_name_H-M 'P -1'
_symmetry_Int_Tables_number 2
_cell_length_a 7.969
_cell_length_b 9.053
_cell_length_c 13.426
_cell_angle_alpha 72.56
_cell_angle_beta 88.78
_cell_angle_gamma 85.49
loop_
_symmetry_equiv_pos_as_xyz
'x,y,z'
'-x,-y,-z'
loop_
_atom_site_label
_atom_site_type_symbol
_atom_site_fract_x
_atom_site_fract_y
_atom_site_fract_z
Nb1 Nb 0.120 0.364 0.305
Nb2 Nb 0.333 0.111 0.189
Tl1 Tl 0.056 0.762 0.975
Tl2 Tl 0.216 0.970 0.572
Tl3 Tl 0.241 0.418 0.584
Tl4 Tl 0.498 0.727 0.116
S1 S 0.013 0.708 0.534
S2 S 0.038 0.134 0.253
S3 S 0.043 0.646 0.245
S4 S 0.108 0.488 0.813
S5 S 0.270 0.398 0.111
S6 S 0.271 0.040 0.043
S7 S 0.364 0.868 0.332
S8 S 0.390 0.197 0.369
S9 S 0.393 0.434 0.350
S10 S 0.412 0.069 0.747
S11 S 0.478 0.681 0.884
```

Largest 10 diffraction maxima, most intense first, 10 to 80 degrees two-theta:
(0 2 1), 2θ = 19.69°, d = 4.509 Å, I 100; (2 0 1), 2θ = 23.46°, d = 3.793 Å, I 100; (1 2 4), 2θ = 30.96°, d = 2.888 Å, I 98; (1 0 3), 2θ = 23.68°, d = 3.757 Å, I 95; (1 0 -4), 2θ = 30.06°, d = 2.972 Å, I 73; (1 0 -2), 2θ = 17.77°, d = 4.991 Å, I 66; (2 -2 0), 2θ = 31.78°, d = 2.815 Å, I 62; (2 2 2), 2θ = 29.81°, d = 2.997 Å, I 61; (1 1 -2), 2θ = 22.18°, d = 4.008 Å, I 44; (-1 2 3), 2θ = 27.70°, d = 3.221 Å, I 38

# 2
Diffraction record for Nb2Tl2S5. The X-ray powder pattern is simulated, not measured: it uses the PBE geometry in OQMD and Cu Ka.

```
data_Nb2Tl2S5
_symmetry_space_group_name_H-M 'C 1 2/c 1'
_symmetry_Int_Tables_number 15
_cell_length_a 10.062
_cell_length_b 7.710
_cell_length_c 12.023
_cell_angle_alpha 90.00
_cell_angle_beta 108.03
_cell_angle_gamma 90.00
loop_
_symmetry_equiv_pos_as_xyz
'x,y,z'
'-x,-y,-z'
'-x,y,-z+1/2'
'x,-y,z+1/2'
'x+1/2,y+1/2,z'
'-x+1/2,-y+1/2,-z'
'-x+1/2,y+1/2,-z+1/2'
'x+1/2,-y+1/2,z+1/2'
loop_
_atom_site_label
_atom_site_type_symbol
_atom_site_fract_x
_atom_site_fract_y
_atom_site_fract_z
Nb1 Nb 0.106 0.185 0.453
Tl1 Tl 0.202 0.342 0.811
S1 S 0.000 0.294 0.250
S2 S 0.042 0.100 0.619
S3 S 0.188 0.469 0.534
```

Largest 10 diffraction maxima, most intense first, 10 to 80 degrees two-theta:
(1 1 -3), 2θ = 25.13°, d = 3.544 Å, I 100; (3 1 -1), 2θ = 29.05°, d = 3.074 Å, I 83; (2 2 1), 2θ = 32.27°, d = 2.774 Å, I 79; (0 2 1), 2θ = 24.37°, d = 3.653 Å, I 56; (3 3 -2), 2θ = 44.98°, d = 2.015 Å, I 44; (1 3 -2), 2θ = 38.36°, d = 2.347 Å, I 37; (1 1 -2), 2θ = 19.25°, d = 4.611 Å, I 36; (1 1 -4), 2θ = 31.96°, d = 2.800 Å, I 34; (2 0 2), 2θ = 27.78°, d = 3.212 Å, I 33; (1 1 5), 2θ = 45.09°, d = 2.011 Å, I 29
'''

Worked solution =
[1]
FeRuPb2: simulated powder XRD pattern (Cu Kα, 1.54184 Å), based on a cell relaxed with PBE.
Kinematic intensities with the Lorentz-polarization factor, no thermal factor.

Structural model:
Cell: 3.203 3.203 8.395 Å, 90.00 90.00 90.00°
Atoms (fractional coordinates):
Fe 0.000 0.000 0.000
Ru 0.500 0.500 0.858
Pb 0.000 0.000 0.624
Pb 0.500 0.500 0.228

Top 10 peaks for 2θ from 5° to 70°, in order of rising 2θ:
Position (°2θ), I_rel
21.17, 27
29.85, 100
31.98, 30
35.24, 90
39.80, 75
42.91, 55
51.93, 31
57.54, 25
69.31, 25
69.71, 23

---

[2]
SbO2F: simulated powder XRD pattern (Cu Kα, 1.54184 Å), based on a cell relaxed with PBE.
Kinematic intensities with the Lorentz-polarization factor, no thermal factor.

Structural model:
Cell: 5.497 4.959 8.707 Å, 90.00 90.00 90.00°
Atoms (fractional coordinates):
Sb 0.250 0.000 0.067
Sb 0.250 0.500 0.433
Sb 0.750 0.000 0.933
Sb 0.750 0.500 0.567
O 0.048 0.218 0.922
O 0.048 0.282 0.578
O 0.452 0.718 0.578
O 0.452 0.782 0.922
O 0.548 0.218 0.078
O 0.548 0.282 0.422
O 0.952 0.718 0.422
O 0.952 0.782 0.078
F 0.134 0.250 0.250
F 0.366 0.750 0.250
F 0.634 0.250 0.750
F 0.866 0.750 0.750

Top 10 peaks for 2θ from 5° to 70°, in order of rising 2θ:
Position (°2θ), I_rel
19.09, 31
20.40, 24
20.61, 100
31.83, 38
32.58, 10
34.96, 16
38.87, 32
48.59, 21
49.51, 14
51.23, 23

* * * * *

# 1
Diffraction record for Nb2Tl4S11. The X-ray powder pattern is simulated, not measured: it uses the PBE geometry in OQMD and Cu Ka.

```
data_Nb2Tl4S11
_symmetry_space_group_name_H-M 'P -1'
_symmetry_Int_Tables_number 2
_cell_length_a 7.969
_cell_length_b 9.053
_cell_length_c 13.426
_cell_angle_alpha 72.56
_cell_angle_beta 88.78
_cell_angle_gamma 85.49
loop_
_symmetry_equiv_pos_as_xyz
'x,y,z'
'-x,-y,-z'
loop_
_atom_site_label
_atom_site_type_symbol
_atom_site_fract_x
_atom_site_fract_y
_atom_site_fract_z
Nb1 Nb 0.120 0.364 0.305
Nb2 Nb 0.333 0.111 0.189
Tl1 Tl 0.056 0.762 0.975
Tl2 Tl 0.216 0.970 0.572
Tl3 Tl 0.241 0.418 0.584
Tl4 Tl 0.498 0.727 0.116
S1 S 0.013 0.708 0.534
S2 S 0.038 0.134 0.253
S3 S 0.043 0.646 0.245
S4 S 0.108 0.488 0.813
S5 S 0.270 0.398 0.111
S6 S 0.271 0.040 0.043
S7 S 0.364 0.868 0.332
S8 S 0.390 0.197 0.369
S9 S 0.393 0.434 0.350
S10 S 0.412 0.069 0.747
S11 S 0.478 0.681 0.884
```

Largest 10 diffraction maxima, most intense first, 10 to 80 degrees two-theta:
(0 2 1), 2θ = 19.69°, d = 4.509 Å, I 100; (2 0 1), 2θ = 23.46°, d = 3.793 Å, I 100; (1 2 4), 2θ = 30.96°, d = 2.888 Å, I 98; (1 0 3), 2θ = 23.68°, d = 3.757 Å, I 95; (1 0 -4), 2θ = 30.06°, d = 2.972 Å, I 73; (1 0 -2), 2θ = 17.77°, d = 4.991 Å, I 66; (2 -2 0), 2θ = 31.78°, d = 2.815 Å, I 62; (2 2 2), 2θ = 29.81°, d = 2.997 Å, I 61; (1 1 -2), 2θ = 22.18°, d = 4.008 Å, I 44; (-1 2 3), 2θ = 27.70°, d = 3.221 Å, I 38

# 2
Diffraction record for Nb2Tl2S5. The X-ray powder pattern is simulated, not measured: it uses the PBE geometry in OQMD and Cu Ka.

```
data_Nb2Tl2S5
_symmetry_space_group_name_H-M 'C 1 2/c 1'
_symmetry_Int_Tables_number 15
_cell_length_a 10.062
_cell_length_b 7.710
_cell_length_c 12.023
_cell_angle_alpha 90.00
_cell_angle_beta 108.03
_cell_angle_gamma 90.00
loop_
_symmetry_equiv_pos_as_xyz
'x,y,z'
'-x,-y,-z'
'-x,y,-z+1/2'
'x,-y,z+1/2'
'x+1/2,y+1/2,z'
'-x+1/2,-y+1/2,-z'
'-x+1/2,y+1/2,-z+1/2'
'x+1/2,-y+1/2,z+1/2'
loop_
_atom_site_label
_atom_site_type_symbol
_atom_site_fract_x
_atom_site_fract_y
_atom_site_fract_z
Nb1 Nb 0.106 0.185 0.453
Tl1 Tl 0.202 0.342 0.811
S1 S 0.000 0.294 0.250
S2 S 0.042 0.100 0.619
S3 S 0.188 0.469 0.534
```

Largest 10 diffraction maxima, most intense first, 10 to 80 degrees two-theta:
(1 1 -3), 2θ = 25.13°, d = 3.544 Å, I 100; (3 1 -1), 2θ = 29.05°, d = 3.074 Å, I 83; (2 2 1), 2θ = 32.27°, d = 2.774 Å, I 79; (0 2 1), 2θ = 24.37°, d = 3.653 Å, I 56; (3 3 -2), 2θ = 44.98°, d = 2.015 Å, I 44; (1 3 -2), 2θ = 38.36°, d = 2.347 Å, I 37; (1 1 -2), 2θ = 19.25°, d = 4.611 Å, I 36; (1 1 -4), 2θ = 31.96°, d = 2.800 Å, I 34; (2 0 2), 2θ = 27.78°, d = 3.212 Å, I 33; (1 1 5), 2θ = 45.09°, d = 2.011 Å, I 29